Source:
~~~
[1]
DFT (ωB97M-V/def2-TZVPD) results for an isolated molecule of C10H7Cl3N4O2.

The geometry in XYZ format:
```
26
Properties=species:S:1:pos:R:3:mulliken_charge:R:1
Cl -2.0630 2.1248 -4.1400 -0.188
Cl 1.5077 3.6329 -0.4628 -0.222
Cl -3.4264 0.1986 -2.0582 -0.185
O 2.6294 -0.8251 0.7461 -0.574
O 0.0595 1.5451 1.3230 -0.532
N 0.4620 -1.0897 1.3655 -0.244
N 0.3431 -2.4187 1.0326 0.013
N 0.7351 -4.5485 0.8238 -0.475
N -0.4036 -4.2729 0.1703 -0.436
C -0.3753 1.7115 0.0323 0.119
C 1.1861 -3.4494 1.3398 0.075
C -0.3320 2.7134 -2.1664 -0.702
C 0.1909 2.6013 -0.8872 0.573
C -0.6372 -3.0043 0.2792 -0.089
C -1.4362 1.9698 -2.5500 0.331
C -2.0381 1.1144 -1.6289 -0.143
C -1.5024 0.9929 -0.3582 -0.230
C 1.5941 -0.3628 1.1487 0.582
C 1.3992 1.1118 1.5083 -0.577
H 2.0851 -3.3344 1.9063 0.426
H 0.1191 3.3973 -2.8676 0.432
H 2.1213 1.6971 0.9345 0.255
H -1.9866 0.3460 0.3561 0.540
H -0.3670 -0.6231 1.7132 0.439
H -1.4711 -2.4760 -0.1341 0.465
H 1.6062 1.2480 2.5738 0.346
```

* 2S+1: 1
* structure (SMILES): O=C(COc1cc(Cl)c(Cl)cc1Cl)Nn1cnnc1
* LUMO: 0.123 eV
* total charge: 0

[2]
DFT (ωB97M-V/def2-TZVPD) results for an isolated molecule of C4H12N2S.

The geometry in XYZ format:
```
19
Properties=species:S:1:pos:R:3:mulliken_charge:R:1
S -3.3108 -1.5265 -1.7931 -0.248
N 2.2726 0.1360 2.0236 -0.535
N -0.1784 0.0407 0.2436 -0.384
C 1.9610 1.0303 0.9445 -0.479
C 1.1878 0.3525 -0.1962 -0.676
C -2.4806 -0.4540 -0.5507 -0.314
C -1.0451 -0.1675 -0.9082 -0.781
H -2.5622 -0.9672 0.4077 0.288
H 2.7800 0.5835 2.7745 0.208
H -2.2730 -2.0245 -2.4818 0.114
H 1.2775 1.8754 1.1885 0.267
H -0.6151 -0.8247 -1.6908 0.329
H 1.6796 -0.5491 -0.5867 0.399
H 2.8359 1.5800 0.5924 0.380
H 1.5003 -0.4546 2.2899 0.155
H -0.9058 0.7013 -1.5844 0.354
H 1.1711 1.0661 -1.0189 0.398
H -3.1362 0.4090 -0.4371 0.310
H -0.1586 -0.8070 0.7832 0.217
```

* 2S+1: 1
* structure (SMILES): NCCNCCS
* LUMO: 1.007 eV
* total charge: 0

[3]
DFT (ωB97M-V/def2-TZVPD) results for an isolated molecule of C3H5NO2.

The geometry in XYZ format:
```
11
Properties=species:S:1:pos:R:3:mulliken_charge:R:1
O 0.0542 0.4411 -0.9064 -0.401
O -1.9918 0.4428 -1.8556 -0.491
N -0.1332 -0.2547 1.3631 -0.370
C -0.6558 0.1961 0.3210 0.065
C 1.2674 -0.6161 1.4170 -0.694
C -0.7970 0.6097 -1.9690 0.139
H 1.7428 -0.0229 2.2044 0.261
H -1.7073 0.4563 0.2688 0.410
H -0.9222 0.8777 -3.0305 0.524
H 1.8010 -0.4632 0.4736 0.291
H 1.3420 -1.6670 1.7136 0.265
```

* 2S+1: 1
* structure (SMILES): C/N=C\OC=O
* LUMO: 0.947 eV
* total charge: 0

[4]
DFT (ωB97M-V/def2-TZVPD) results for a 6-piece molecular cluster, C40H81F4N2O8 overall.

The geometry in XYZ format:
```
135
Properties=species:S:1:pos:R:3:mulliken_charge:R:1
F -1.9142 -5.8970 -2.1767 -0.281
F -0.3630 -7.3542 -1.8070 -0.300
F 0.0252 -5.8300 -3.2953 -0.255
F -1.8985 -0.6428 2.1516 -0.371
O -0.4847 5.1778 1.9424 -0.496
O -4.9452 7.4632 3.3766 -0.520
O 2.9825 -5.7562 4.0881 -0.374
O 0.2493 -2.2527 4.7838 -0.445
O -0.8022 0.7755 -6.6223 -0.424
O -5.1219 0.5202 -3.6328 -0.551
O -0.9804 -4.6887 -0.0614 -0.561
O 0.6486 -2.9124 6.8581 -0.418
N -0.0737 -0.7727 -0.1152 1.113
N 0.0961 -1.8018 -0.9170 -0.726
C -0.3388 0.5259 -3.1623 -0.653
C -0.2129 7.5211 2.4386 -1.265
C 3.0874 -7.4712 5.7804 -1.345
C 1.3243 -1.7670 1.6882 -0.501
C -0.8005 6.4955 1.4826 0.335
C 4.6378 -2.7809 -0.5420 -1.215
C 2.2979 -4.1877 1.2363 -0.584
C -2.3090 6.6458 1.3706 -1.189
C 4.4346 -2.6458 1.0174 0.097
C 0.0367 -5.1827 -0.9307 0.015
C 3.8683 -1.6159 -1.3115 1.426
C -5.0461 -0.7950 -4.1858 0.498
C -1.4110 0.0981 -2.0883 -0.758
C 4.8248 -0.5970 -2.0167 -1.123
C -0.0714 0.7925 -8.9187 -1.355
C 0.7322 -2.0343 6.0720 0.203
C 0.5448 2.6422 -7.3366 -1.267
C -1.9955 1.8129 2.2982 -1.368
C 1.9375 -1.7160 3.0894 -1.020
C 3.7851 -3.9006 1.6756 -1.185
C -4.6654 9.8057 3.8673 -1.247
C 2.8751 -7.1681 4.3065 0.312
C 1.5141 -7.6525 3.8319 -1.137
C 0.9506 -3.9834 -1.4450 -1.595
C 3.8470 1.3797 -0.5559 0.154
C 0.8215 -2.7861 -0.4547 -0.071
C -6.3536 -1.1284 -4.8866 -1.452
C -1.1786 0.5017 2.5732 0.403
~~~
Request:
Next, print the whole of the data above character by character.
Here it is:
[1]
DFT (ωB97M-V/def2-TZVPD) results for an isolated molecule of C10H7Cl3N4O2.

The geometry in XYZ format:
```
26
Properties=species:S:1:pos:R:3:mulliken_charge:R:1
Cl -2.0630 2.1248 -4.1400 -0.188
Cl 1.5077 3.6329 -0.4628 -0.222
Cl -3.4264 0.1986 -2.0582 -0.185
O 2.6294 -0.8251 0.7461 -0.574
O 0.0595 1.5451 1.3230 -0.532
N 0.4620 -1.0897 1.3655 -0.244
N 0.3431 -2.4187 1.0326 0.013
N 0.7351 -4.5485 0.8238 -0.475
N -0.4036 -4.2729 0.1703 -0.436
C -0.3753 1.7115 0.0323 0.119
C 1.1861 -3.4494 1.3398 0.075
C -0.3320 2.7134 -2.1664 -0.702
C 0.1909 2.6013 -0.8872 0.573
C -0.6372 -3.0043 0.2792 -0.089
C -1.4362 1.9698 -2.5500 0.331
C -2.0381 1.1144 -1.6289 -0.143
C -1.5024 0.9929 -0.3582 -0.230
C 1.5941 -0.3628 1.1487 0.582
C 1.3992 1.1118 1.5083 -0.577
H 2.0851 -3.3344 1.9063 0.426
H 0.1191 3.3973 -2.8676 0.432
H 2.1213 1.6971 0.9345 0.255
H -1.9866 0.3460 0.3561 0.540
H -0.3670 -0.6231 1.7132 0.439
H -1.4711 -2.4760 -0.1341 0.465
H 1.6062 1.2480 2.5738 0.346
```

* 2S+1: 1
* structure (SMILES): O=C(COc1cc(Cl)c(Cl)cc1Cl)Nn1cnnc1
* LUMO: 0.123 eV
* total charge: 0

[2]
DFT (ωB97M-V/def2-TZVPD) results for an isolated molecule of C4H12N2S.

The geometry in XYZ format:
```
19
Properties=species:S:1:pos:R:3:mulliken_charge:R:1
S -3.3108 -1.5265 -1.7931 -0.248
N 2.2726 0.1360 2.0236 -0.535
N -0.1784 0.0407 0.2436 -0.384
C 1.9610 1.0303 0.9445 -0.479
C 1.1878 0.3525 -0.1962 -0.676
C -2.4806 -0.4540 -0.5507 -0.314
C -1.0451 -0.1675 -0.9082 -0.781
H -2.5622 -0.9672 0.4077 0.288
H 2.7800 0.5835 2.7745 0.208
H -2.2730 -2.0245 -2.4818 0.114
H 1.2775 1.8754 1.1885 0.267
H -0.6151 -0.8247 -1.6908 0.329
H 1.6796 -0.5491 -0.5867 0.399
H 2.8359 1.5800 0.5924 0.380
H 1.5003 -0.4546 2.2899 0.155
H -0.9058 0.7013 -1.5844 0.354
H 1.1711 1.0661 -1.0189 0.398
H -3.1362 0.4090 -0.4371 0.310
H -0.1586 -0.8070 0.7832 0.217
```

* 2S+1: 1
* structure (SMILES): NCCNCCS
* LUMO: 1.007 eV
* total charge: 0

[3]
DFT (ωB97M-V/def2-TZVPD) results for an isolated molecule of C3H5NO2.

The geometry in XYZ format:
```
11
Properties=species:S:1:pos:R:3:mulliken_charge:R:1
O 0.0542 0.4411 -0.9064 -0.401
O -1.9918 0.4428 -1.8556 -0.491
N -0.1332 -0.2547 1.3631 -0.370
C -0.6558 0.1961 0.3210 0.065
C 1.2674 -0.6161 1.4170 -0.694
C -0.7970 0.6097 -1.9690 0.139
H 1.7428 -0.0229 2.2044 0.261
H -1.7073 0.4563 0.2688 0.410
H -0.9222 0.8777 -3.0305 0.524
H 1.8010 -0.4632 0.4736 0.291
H 1.3420 -1.6670 1.7136 0.265
```

* 2S+1: 1
* structure (SMILES): C/N=C\OC=O
* LUMO: 0.947 eV
* total charge: 0

[4]
DFT (ωB97M-V/def2-TZVPD) results for a 6-piece molecular cluster, C40H81F4N2O8 overall.

The geometry in XYZ format:
```
135
Properties=species:S:1:pos:R:3:mulliken_charge:R:1
F -1.9142 -5.8970 -2.1767 -0.281
F -0.3630 -7.3542 -1.8070 -0.300
F 0.0252 -5.8300 -3.2953 -0.255
F -1.8985 -0.6428 2.1516 -0.371
O -0.4847 5.1778 1.9424 -0.496
O -4.9452 7.4632 3.3766 -0.520
O 2.9825 -5.7562 4.0881 -0.374
O 0.2493 -2.2527 4.7838 -0.445
O -0.8022 0.7755 -6.6223 -0.424
O -5.1219 0.5202 -3.6328 -0.551
O -0.9804 -4.6887 -0.0614 -0.561
O 0.6486 -2.9124 6.8581 -0.418
N -0.0737 -0.7727 -0.1152 1.113
N 0.0961 -1.8018 -0.9170 -0.726
C -0.3388 0.5259 -3.1623 -0.653
C -0.2129 7.5211 2.4386 -1.265
C 3.0874 -7.4712 5.7804 -1.345
C 1.3243 -1.7670 1.6882 -0.501
C -0.8005 6.4955 1.4826 0.335
C 4.6378 -2.7809 -0.5420 -1.215
C 2.2979 -4.1877 1.2363 -0.584
C -2.3090 6.6458 1.3706 -1.189
C 4.4346 -2.6458 1.0174 0.097
C 0.0367 -5.1827 -0.9307 0.015
C 3.8683 -1.6159 -1.3115 1.426
C -5.0461 -0.7950 -4.1858 0.498
C -1.4110 0.0981 -2.0883 -0.758
C 4.8248 -0.5970 -2.0167 -1.123
C -0.0714 0.7925 -8.9187 -1.355
C 0.7322 -2.0343 6.0720 0.203
C 0.5448 2.6422 -7.3366 -1.267
C -1.9955 1.8129 2.2982 -1.368
C 1.9375 -1.7160 3.0894 -1.020
C 3.7851 -3.9006 1.6756 -1.185
C -4.6654 9.8057 3.8673 -1.247
C 2.8751 -7.1681 4.3065 0.312
C 1.5141 -7.6525 3.8319 -1.137
C 0.9506 -3.9834 -1.4450 -1.595
C 3.8470 1.3797 -0.5559 0.154
C 0.8215 -2.7861 -0.4547 -0.071
C -6.3536 -1.1284 -4.8866 -1.452
C -1.1786 0.5017 2.5732 0.403